## Exercise
Transcribe only the last part of the calculation results underneath, starting with the line that has "0.295".

## Excerpt
/*
(1)
Density functional theory data (meta-GGA r2SCAN) for crystalline TbHoIn2 at its relaxed geometry.

Unit cell a=7.479 b=7.479 c=7.479 alpha=90.00 beta=90.00 gamma=90.00
Space group Fm-3m (No. 225)
Inequivalent atoms, fractional coordinates:
Tb  0.000  0.000  0.000 [4 per cell]
Ho  0.000  0.000  0.500 [4 per cell]
In  0.250  0.250  0.250 [8 per cell]

---

(2)
Density functional theory data (meta-GGA r2SCAN) for crystalline Ho2TlIn at its relaxed geometry.

Unit cell a=7.486 b=7.486 c=7.486 alpha=90.00 beta=90.00 gamma=90.00
Space group Fm-3m (No. 225)
Inequivalent atoms, fractional coordinates:
Ho  0.250  0.250  0.250 [8 per cell]
Tl  0.000  0.000  0.000 [4 per cell]
In  0.000  0.000  0.500 [4 per cell]

---

(3)
Density functional theory data (meta-GGA r2SCAN) for crystalline HoTmIn2 at its relaxed geometry.

Unit cell a=7.415 b=7.415 c=7.415 alpha=90.00 beta=90.00 gamma=90.00
Space group Fm-3m (No. 225)
Inequivalent atoms, fractional coordinates:
Ho  0.000  0.000  0.000 [4 per cell]
Tm  0.000  0.000  0.500 [4 per cell]
In  0.250  0.250  0.250 [8 per cell]

---

Across the entries above, size of the total moment takes the values 0.0; 0.0; 0.0 Bohr magnetons per cell, respectively.
Across the entries above, final energy takes the values -2.051; -2.637; -2.120 Ry per atom, respectively.

~~~~~

CaSn2O4 | PBE-GGA | optimized geometry

Lattice parameters (Å, degrees): 6.593 7.017 16.779 85.85 89.72 62.65
Positions (direct):
Ca  0.000  0.000  0.000
Ca  0.003  0.012  0.625
Ca  0.334  0.332  0.665
Ca  0.638  0.697  0.337
Ca  0.650  0.689  0.963
Ca  0.980  0.055  0.257
Sn  0.159  0.682  0.456
Sn  0.161  0.177  0.453
Sn  0.292  0.396  0.925
Sn  0.304  0.370  0.295
Sn  0.320  0.855  0.797
Sn  0.476  0.538  0.134
Sn  0.497  0.006  0.122
Sn  0.639  0.690  0.594
Sn  0.664  0.152  0.467
Sn  0.817  0.856  0.794
Sn  0.841  0.318  0.788
Sn  0.975  0.541  0.131
O  0.023  0.469  0.371
O  0.024  0.015  0.386
O  0.121  0.282  0.213
O  0.135  0.729  0.732
O  0.154  0.149  0.723
O  0.160  0.661  0.205
O  0.266  0.463  0.060
O  0.311  0.302  0.532
O  0.317  0.881  0.529
O  0.351  0.831  0.061
O  0.409  0.550  0.361
O  0.411  0.069  0.355
O  0.427  0.600  0.886
O  0.518  0.960  0.861
O  0.592  0.284  0.222
O  0.609  0.768  0.724
O  0.652  0.688  0.195
O  0.698  0.150  0.723
O  0.782  0.891  0.565
O  0.790  0.404  0.070
O  0.813  0.829  0.058
O  0.871  0.276  0.521
O  0.960  0.605  0.885
O  0.996  0.005  0.862

Summary:
Space-group type ... P1, No. 1
ΔE_f ... -2.222 eV per atom
Total magnetic moment ... 0.00 μB per atom
E_tot ... -6.09 eV per atom
*/

## Completed
Sn  0.304  0.370  0.295
Sn  0.320  0.855  0.797
Sn  0.476  0.538  0.134
Sn  0.497  0.006  0.122
Sn  0.639  0.690  0.594
Sn  0.664  0.152  0.467
Sn  0.817  0.856  0.794
Sn  0.841  0.318  0.788
Sn  0.975  0.541  0.131
O  0.023  0.469  0.371
O  0.024  0.015  0.386
O  0.121  0.282  0.213
O  0.135  0.729  0.732
O  0.154  0.149  0.723
O  0.160  0.661  0.205
O  0.266  0.463  0.060
O  0.311  0.302  0.532
O  0.317  0.881  0.529
O  0.351  0.831  0.061
O  0.409  0.550  0.361
O  0.411  0.069  0.355
O  0.427  0.600  0.886
O  0.518  0.960  0.861
O  0.592  0.284  0.222
O  0.609  0.768  0.724
O  0.652  0.688  0.195
O  0.698  0.150  0.723
O  0.782  0.891  0.565
O  0.790  0.404  0.070
O  0.813  0.829  0.058
O  0.871  0.276  0.521
O  0.960  0.605  0.885
O  0.996  0.005  0.862

Summary:
Space-group type ... P1, No. 1
ΔE_f ... -2.222 eV per atom
Total magnetic moment ... 0.00 μB per atom
E_tot ... -6.09 eV per atom